Material.
********
Below is a geometry-optimized Li4Ti2V7O18 structure, with properties calculated at the PBE with a Hubbard U level.

Properties
magnetic moment: 22.0 μB/cell
SG: Pmc2_1
energy of formation: -253.0 kJ per mole of atoms

Lattice parameters (Å, degrees): 2.9681 9.1105 25.1255 90.00 90.00 90.00
With the nearest neighbours (Å) after each atom.
Fractional coordinates of all 62 atoms:
1 Li 0.5000 0.9425 0.9890  4 O 2.10-2.23
2 Li 0.5000 0.9342 0.1952  2 O 2.17
3 Li 0.5000 0.0658 0.6952  2 O 2.17
4 Li 0.5000 0.0575 0.4890  4 O 2.10-2.23
5 Li 0.5000 0.4441 0.5106  4 O 2.09-2.24
6 Li 0.5000 0.4398 0.3079  4 O 2.17-2.40
7 Li 0.5000 0.5602 0.8079  4 O 2.17-2.40
8 Li 0.5000 0.5559 0.0106  4 O 2.09-2.24
9 Ti 0.5000 0.7395 0.1019  6 O 1.91-2.12
10 Ti 0.5000 0.2605 0.6019  6 O 1.91-2.12
11 Ti 0.5000 0.2457 0.3987  6 O 1.89-2.10
12 Ti 0.5000 0.7543 0.8987  6 O 1.89-2.10
13 V 0.5000 0.7505 0.5003  6 O 1.89-2.01
14 V 0.5000 0.7625 0.3085  5 O 1.97-2.03
15 V 0.0000 0.9054 0.5855  6 O 1.99-2.05
16 V 0.0000 0.9006 0.8048  6 O 1.94-2.01
17 V 0.0000 0.0994 0.3048  6 O 1.94-2.01
18 V 0.0000 0.0946 0.0855  6 O 1.99-2.05
19 V 0.5000 0.2375 0.8085  5 O 1.97-2.03
20 V 0.5000 0.2495 0.0003  6 O 1.89-2.01
21 V 0.5000 0.2637 0.1899  5 O 1.97-2.01
22 V 0.0000 0.4026 0.9143  6 O 1.99-2.06
23 V 0.0000 0.4006 0.6951  6 O 1.91-2.00
24 V 0.0000 0.5994 0.1951  6 O 1.91-2.00
25 V 0.0000 0.5974 0.4143  6 O 1.99-2.06
26 V 0.5000 0.7363 0.6899  5 O 1.97-2.01
27 O 0.5000 0.7472 0.4244  3 V 1.91-2.03
28 O 0.5000 0.7558 0.5755  3 V 1.89-2.03
29 O 0.0000 0.8148 0.9419  2 Ti 1.92
30 O 0.0000 0.7914 0.1591  1 V 1.97, 2 Ti 2.12, 2 Li 2.17
31 O 0.0000 0.8659 0.6632  3 V 1.99-2.01
32 O 0.5000 0.8515 0.7561  3 V 1.97-1.98
33 O 0.0000 0.8996 0.5038  3 V 2.01-2.05, 2 Li 2.10
34 O 0.0000 0.8937 0.2851  3 V 1.94-1.99
35 O 0.5000 0.9407 0.8543  2 V 1.97, 1 Ti 2.03
36 O 0.5000 0.9455 0.0839  1 Ti 1.93, 2 V 2.01
37 O 0.5000 0.0545 0.5839  1 Ti 1.93, 2 V 2.01
38 O 0.5000 0.0593 0.3543  2 V 1.97, 1 Ti 2.03
39 O 0.0000 0.1063 0.7851  3 V 1.94-1.99
40 O 0.0000 0.1004 0.0038  3 V 2.01-2.05, 2 Li 2.10
41 O 0.5000 0.1485 0.2561  3 V 1.97-1.98
42 O 0.0000 0.1341 0.1632  3 V 1.99-2.01
43 O 0.0000 0.2086 0.6591  1 V 1.97, 2 Ti 2.12, 2 Li 2.17
44 O 0.0000 0.1852 0.4419  2 Ti 1.92
45 O 0.5000 0.2442 0.0755  3 V 1.89-2.03
46 O 0.5000 0.2528 0.9244  3 V 1.91-2.03
47 O 0.0000 0.3154 0.5582  2 Ti 1.91
48 O 0.0000 0.2944 0.3424  1 V 2.01, 2 Ti 2.10, 2 Li 2.17
49 O 0.0000 0.3686 0.8362  3 V 1.99-2.03
50 O 0.5000 0.3498 0.7415  3 V 1.94-1.97
51 O 0.0000 0.3986 0.9963  3 V 2.01-2.06, 2 Li 2.09
52 O 0.0000 0.3964 0.2143  3 V 1.91-2.01
53 O 0.5000 0.4417 0.6439  1 Ti 1.96, 2 V 2.00
54 O 0.5000 0.4474 0.4170  1 Ti 1.89, 2 V 2.02
55 O 0.5000 0.5526 0.9170  1 Ti 1.89, 2 V 2.02
56 O 0.5000 0.5583 0.1439  1 Ti 1.96, 2 V 2.00
57 O 0.0000 0.6036 0.7143  3 V 1.91-2.01
58 O 0.0000 0.6014 0.4963  3 V 2.01-2.06, 2 Li 2.09
59 O 0.5000 0.6502 0.2415  3 V 1.94-1.97
60 O 0.0000 0.6314 0.3362  3 V 1.99-2.03
61 O 0.0000 0.7056 0.8424  1 V 2.01, 2 Ti 2.10, 2 Li 2.17
62 O 0.0000 0.6846 0.0582  2 Ti 1.91


Below is a geometry-optimized Ba2YMn3O7 structure, with properties calculated at the PBE with a Hubbard U level.

Properties
magnetic moment: 27.1 μB/cell
SG: Fmm2
energy of formation: -254.9 kJ per mole of atoms
energy above the most stable polymorph in this dataset: 1 kJ/mol of formula units

Lattice parameters (Å, degrees): 5.6736 12.4711 5.6737 77.36 92.18 77.36
With the nearest neighbours (Å) after each atom.
Fractional coordinates of all 26 atoms:
1 Ba 0.5907 0.8184 0.0907  10 O 2.84-3.13
2 Ba 0.0908 0.8184 0.5908  10 O 2.84-3.13
3 Ba 0.9091 0.1818 0.4091  10 O 2.84-3.12
4 Ba 0.4091 0.1818 0.9091  10 O 2.84-3.12
5 Y 0.7501 0.4998 0.2501  8 O 2.43-2.48
6 Y 0.2501 0.4998 0.7501  8 O 2.43-2.48
7 Mn 0.0001 0.9998 0.0001  4 O 1.91-1.96
8 Mn 0.8265 0.3471 0.8265  5 O 2.01-2.15
9 Mn 0.3260 0.3481 0.3260  5 O 2.01-2.10
10 Mn 0.4997 0.0005 0.4997  4 O 2.01-2.17
11 Mn 0.1736 0.6528 0.1736  5 O 2.01-2.15
********

Activity.
Restate the data further above from the first line to the one with "0.9143" word for word.

Reply.
Below is a geometry-optimized Li4Ti2V7O18 structure, with properties calculated at the PBE with a Hubbard U level.

Properties
magnetic moment: 22.0 μB/cell
SG: Pmc2_1
energy of formation: -253.0 kJ per mole of atoms

Lattice parameters (Å, degrees): 2.9681 9.1105 25.1255 90.00 90.00 90.00
With the nearest neighbours (Å) after each atom.
Fractional coordinates of all 62 atoms:
1 Li 0.5000 0.9425 0.9890  4 O 2.10-2.23
2 Li 0.5000 0.9342 0.1952  2 O 2.17
3 Li 0.5000 0.0658 0.6952  2 O 2.17
4 Li 0.5000 0.0575 0.4890  4 O 2.10-2.23
5 Li 0.5000 0.4441 0.5106  4 O 2.09-2.24
6 Li 0.5000 0.4398 0.3079  4 O 2.17-2.40
7 Li 0.5000 0.5602 0.8079  4 O 2.17-2.40
8 Li 0.5000 0.5559 0.0106  4 O 2.09-2.24
9 Ti 0.5000 0.7395 0.1019  6 O 1.91-2.12
10 Ti 0.5000 0.2605 0.6019  6 O 1.91-2.12
11 Ti 0.5000 0.2457 0.3987  6 O 1.89-2.10
12 Ti 0.5000 0.7543 0.8987  6 O 1.89-2.10
13 V 0.5000 0.7505 0.5003  6 O 1.89-2.01
14 V 0.5000 0.7625 0.3085  5 O 1.97-2.03
15 V 0.0000 0.9054 0.5855  6 O 1.99-2.05
16 V 0.0000 0.9006 0.8048  6 O 1.94-2.01
17 V 0.0000 0.0994 0.3048  6 O 1.94-2.01
18 V 0.0000 0.0946 0.0855  6 O 1.99-2.05
19 V 0.5000 0.2375 0.8085  5 O 1.97-2.03
20 V 0.5000 0.2495 0.0003  6 O 1.89-2.01
21 V 0.5000 0.2637 0.1899  5 O 1.97-2.01
22 V 0.0000 0.4026 0.9143  6 O 1.99-2.06